-- Entries --
- - -
No. 1
# LiCa8In2
Computed PXRD pattern, Cu Kα, 1.54184 Å. Input: a crystal structure in Alexandria, relaxed with PBE.
Neutral-atom scattering factors, no anomalous dispersion.

Unit cell a=9.188 b=9.188 c=9.188 alpha=145.39 beta=119.08 gamma=71.99
Sites, in units of the cell vectors:
Li  0.000  0.000  0.000
Ca  0.131  0.841  0.290
Ca  0.137  0.637  0.500
Ca  0.323  0.500  0.823
Ca  0.450  0.159  0.290
Ca  0.550  0.841  0.710
Ca  0.677  0.500  0.177
Ca  0.863  0.363  0.500
Ca  0.869  0.159  0.710
In  0.298  0.298  0.000
In  0.702  0.702  0.000

Main lines, in order of falling intensity (2θ = 5–70°):
d [Å]  2θ (°)  Rel. int.
2.883  31.0  100
7.434  11.9  38
2.733  32.8  34
2.538  35.4  31
2.919  30.6  27
2.833  31.6  22
1.967  46.2  20
3.947  22.5  19
4.714  18.8  17
3.449  25.8  17

***

No. 2
# CrNi4H8
Computed PXRD pattern, Cu Kα, 1.54184 Å. Input: a crystal structure in Alexandria, relaxed with PBE.
Neutral-atom scattering factors, no anomalous dispersion.

Unit cell a=5.028 b=5.028 c=9.887 alpha=90.00 beta=90.00 gamma=120.00
Sites, in units of the cell vectors:
Cr  0.000  0.000  0.000
Cr  0.000  0.000  0.500
Ni  0.000  0.000  0.250
Ni  0.000  0.000  0.750
Ni  0.000  0.500  0.250
Ni  0.000  0.500  0.750
Ni  0.500  0.000  0.250
Ni  0.500  0.000  0.750
Ni  0.500  0.500  0.250
Ni  0.500  0.500  0.750
H  0.166  0.332  0.150
H  0.166  0.332  0.350
H  0.166  0.834  0.150
H  0.166  0.834  0.350
H  0.332  0.166  0.650
H  0.332  0.166  0.850
H  0.333  0.667  0.658
H  0.333  0.667  0.842
H  0.667  0.333  0.158
H  0.667  0.333  0.342
H  0.668  0.834  0.150
H  0.668  0.834  0.350
H  0.834  0.166  0.650
H  0.834  0.166  0.850
H  0.834  0.668  0.650
H  0.834  0.668  0.850

Main lines, in order of falling intensity (2θ = 5–70°):
d [Å]  2θ (°)  Rel. int.
4.944  17.9  100
2.177  41.5  72
1.634  56.3  58
1.992  45.5  49
2.472  36.3  35
4.354  20.4  15
3.268  27.3  14
1.647  55.8  6
2.241  40.2  5
2.150  42.0  4

***

No. 3
# BeCrCoP
Computed PXRD pattern, Cu Kα, 1.54184 Å. Input: a crystal structure in Alexandria, relaxed with PBE.
Neutral-atom scattering factors, no anomalous dispersion.

Unit cell a=3.417 b=4.244 c=4.244 alpha=42.25 beta=90.00 gamma=90.00
Sites, in units of the cell vectors:
Be  0.000  0.000  0.000
Cr  0.500  0.553  0.553
Co  0.000  0.279  0.279
P  0.500  0.833  0.833

Main lines, in order of falling intensity (2θ = 5–70°):
d [Å]  2θ (°)  Rel. int.
2.190  41.2  100
2.587  34.7  49
1.725  53.1  36
1.998  45.4  31
1.980  45.8  25
1.708  53.7  21
2.854  31.3  18
1.530  60.5  14
3.959  22.5  9
1.713  53.5  8

* * * * *

Diffraction record for Er5CoSb2. The XRD peak list is simulated, not measured: it uses a cell relaxed with PBE and CuKα.
Neutral-atom scattering factors, no anomalous dispersion.

Peak list (8 most intense, 2θ = 5–70°, by angle)
- 27.7°, I = 18
- 31.7°, I = 100
- 31.9°, I = 16
- 32.3°, I = 53
- 34.2°, I = 32
- 35.3°, I = 18
- 36.1°, I = 17
- 41.4°, I = 23

Crystal structure
```
Er5CoSb2
1.0
12.099 0.000 0.000
0.000 8.726 0.000
0.000 0.000 7.809
Er Co Sb
20 4 8
direct
0.002 0.250 0.050 Er
0.066 0.539 0.324 Er
0.066 0.961 0.324 Er
0.192 0.250 0.623 Er
0.205 0.750 0.658 Er
0.295 0.250 0.158 Er
0.308 0.750 0.123 Er
0.434 0.039 0.824 Er
0.434 0.461 0.824 Er
0.498 0.750 0.550 Er
0.502 0.250 0.450 Er
0.566 0.539 0.176 Er
0.566 0.961 0.176 Er
0.692 0.250 0.877 Er
0.705 0.750 0.842 Er
0.795 0.250 0.342 Er
0.808 0.750 0.377 Er
0.934 0.039 0.676 Er
0.934 0.461 0.676 Er
0.998 0.750 0.950 Er
0.010 0.250 0.429 Co
0.490 0.750 0.929 Co
0.510 0.250 0.071 Co
0.990 0.750 0.571 Co
0.173 0.008 0.932 Sb
0.173 0.492 0.932 Sb
0.327 0.508 0.432 Sb
0.327 0.992 0.432 Sb
0.673 0.008 0.568 Sb
0.673 0.492 0.568 Sb
0.827 0.508 0.068 Sb
0.827 0.992 0.068 Sb
```

***

Diffraction record for ErCoSi. The XRD peak list is simulated, not measured: it uses a cell relaxed with PBE and CuKα.
Neutral-atom scattering factors, no anomalous dispersion.

Peak list (8 most intense, 2θ = 5–70°, by angle)
- 25.0°, I = 31
- 26.0°, I = 23
- 36.4°, I = 100
- - -

-- To do --
Please give back all of the contents earlier on exactly.

-- Response --
No. 1
# LiCa8In2
Computed PXRD pattern, Cu Kα, 1.54184 Å. Input: a crystal structure in Alexandria, relaxed with PBE.
Neutral-atom scattering factors, no anomalous dispersion.

Unit cell a=9.188 b=9.188 c=9.188 alpha=145.39 beta=119.08 gamma=71.99
Sites, in units of the cell vectors:
Li  0.000  0.000  0.000
Ca  0.131  0.841  0.290
Ca  0.137  0.637  0.500
Ca  0.323  0.500  0.823
Ca  0.450  0.159  0.290
Ca  0.550  0.841  0.710
Ca  0.677  0.500  0.177
Ca  0.863  0.363  0.500
Ca  0.869  0.159  0.710
In  0.298  0.298  0.000
In  0.702  0.702  0.000

Main lines, in order of falling intensity (2θ = 5–70°):
d [Å]  2θ (°)  Rel. int.
2.883  31.0  100
7.434  11.9  38
2.733  32.8  34
2.538  35.4  31
2.919  30.6  27
2.833  31.6  22
1.967  46.2  20
3.947  22.5  19
4.714  18.8  17
3.449  25.8  17

***

No. 2
# CrNi4H8
Computed PXRD pattern, Cu Kα, 1.54184 Å. Input: a crystal structure in Alexandria, relaxed with PBE.
Neutral-atom scattering factors, no anomalous dispersion.

Unit cell a=5.028 b=5.028 c=9.887 alpha=90.00 beta=90.00 gamma=120.00
Sites, in units of the cell vectors:
Cr  0.000  0.000  0.000
Cr  0.000  0.000  0.500
Ni  0.000  0.000  0.250
Ni  0.000  0.000  0.750
Ni  0.000  0.500  0.250
Ni  0.000  0.500  0.750
Ni  0.500  0.000  0.250
Ni  0.500  0.000  0.750
Ni  0.500  0.500  0.250
Ni  0.500  0.500  0.750
H  0.166  0.332  0.150
H  0.166  0.332  0.350
H  0.166  0.834  0.150
H  0.166  0.834  0.350
H  0.332  0.166  0.650
H  0.332  0.166  0.850
H  0.333  0.667  0.658
H  0.333  0.667  0.842
H  0.667  0.333  0.158
H  0.667  0.333  0.342
H  0.668  0.834  0.150
H  0.668  0.834  0.350
H  0.834  0.166  0.650
H  0.834  0.166  0.850
H  0.834  0.668  0.650
H  0.834  0.668  0.850

Main lines, in order of falling intensity (2θ = 5–70°):
d [Å]  2θ (°)  Rel. int.
4.944  17.9  100
2.177  41.5  72
1.634  56.3  58
1.992  45.5  49
2.472  36.3  35
4.354  20.4  15
3.268  27.3  14
1.647  55.8  6
2.241  40.2  5
2.150  42.0  4

***

No. 3
# BeCrCoP
Computed PXRD pattern, Cu Kα, 1.54184 Å. Input: a crystal structure in Alexandria, relaxed with PBE.
Neutral-atom scattering factors, no anomalous dispersion.

Unit cell a=3.417 b=4.244 c=4.244 alpha=42.25 beta=90.00 gamma=90.00
Sites, in units of the cell vectors:
Be  0.000  0.000  0.000
Cr  0.500  0.553  0.553
Co  0.000  0.279  0.279
P  0.500  0.833  0.833

Main lines, in order of falling intensity (2θ = 5–70°):
d [Å]  2θ (°)  Rel. int.
2.190  41.2  100
2.587  34.7  49
1.725  53.1  36
1.998  45.4  31
1.980  45.8  25
1.708  53.7  21
2.854  31.3  18
1.530  60.5  14
3.959  22.5  9
1.713  53.5  8

* * * * *

Diffraction record for Er5CoSb2. The XRD peak list is simulated, not measured: it uses a cell relaxed with PBE and CuKα.
Neutral-atom scattering factors, no anomalous dispersion.

Peak list (8 most intense, 2θ = 5–70°, by angle)
- 27.7°, I = 18
- 31.7°, I = 100
- 31.9°, I = 16
- 32.3°, I = 53
- 34.2°, I = 32
- 35.3°, I = 18
- 36.1°, I = 17
- 41.4°, I = 23

Crystal structure
```
Er5CoSb2
1.0
12.099 0.000 0.000
0.000 8.726 0.000
0.000 0.000 7.809
Er Co Sb
20 4 8
direct
0.002 0.250 0.050 Er
0.066 0.539 0.324 Er
0.066 0.961 0.324 Er
0.192 0.250 0.623 Er
0.205 0.750 0.658 Er
0.295 0.250 0.158 Er
0.308 0.750 0.123 Er
0.434 0.039 0.824 Er
0.434 0.461 0.824 Er
0.498 0.750 0.550 Er
0.502 0.250 0.450 Er
0.566 0.539 0.176 Er
0.566 0.961 0.176 Er
0.692 0.250 0.877 Er
0.705 0.750 0.842 Er
0.795 0.250 0.342 Er
0.808 0.750 0.377 Er
0.934 0.039 0.676 Er
0.934 0.461 0.676 Er
0.998 0.750 0.950 Er
0.010 0.250 0.429 Co
0.490 0.750 0.929 Co
0.510 0.250 0.071 Co
0.990 0.750 0.571 Co
0.173 0.008 0.932 Sb
0.173 0.492 0.932 Sb
0.327 0.508 0.432 Sb
0.327 0.992 0.432 Sb
0.673 0.008 0.568 Sb
0.673 0.492 0.568 Sb
0.827 0.508 0.068 Sb
0.827 0.992 0.068 Sb
```

***

Diffraction record for ErCoSi. The XRD peak list is simulated, not measured: it uses a cell relaxed with PBE and CuKα.
Neutral-atom scattering factors, no anomalous dispersion.

Peak list (8 most intense, 2θ = 5–70°, by angle)
- 25.0°, I = 31
- 26.0°, I = 23
- 36.4°, I = 100